Nathalia Holt, author of Rise of the Rocket Girls: The Women Who Propelled Us from Missiles to the Moon to Mars.

[1]
The following is a PBE-GGA calculation of KTm2F7 after structural relaxation, from the Materials Project.

Geometry as POSCAR:
```
KTm2F7
1.0
7.139 -3.971 0.000
7.139 3.971 0.000
-6.827 0.000 9.702
K Tm F
4 8 28
direct
0.232 0.232 0.154
0.262 0.262 0.519
0.738 0.738 0.481
0.768 0.768 0.846
0.236 0.761 0.820
0.239 0.764 0.180
0.242 0.242 0.821
0.259 0.741 0.500
0.741 0.259 0.500
0.758 0.758 0.179
0.761 0.236 0.820
0.764 0.239 0.180
0.103 0.103 0.247
0.104 0.104 0.588
0.113 0.113 0.883
0.121 0.643 0.263
0.134 0.669 0.586
0.155 0.500 0.761
0.173 0.504 0.999
0.180 0.820 0.000
0.331 0.866 0.414
0.357 0.879 0.737
0.395 0.395 0.424
0.495 0.495 0.770
0.496 0.827 0.001
0.500 0.155 0.761
0.500 0.845 0.239
0.504 0.173 0.999
0.505 0.505 0.230
0.605 0.605 0.576
0.643 0.121 0.263
0.669 0.134 0.586
0.820 0.180 0.000
0.827 0.496 0.001
0.845 0.500 0.239
0.866 0.331 0.414
0.879 0.357 0.737
0.887 0.887 0.117
0.896 0.896 0.412
0.897 0.897 0.753
```

[2]
The following is a PBE-GGA calculation of Na6Ti2Si5Sn2SO24 after structural relaxation, from the Materials Project.

Geometry as POSCAR:
```
Na6Ti2Si5Sn2SO24
1.0
9.005 0.000 0.000
-4.498 7.808 0.000
-0.001 -0.117 22.241
Na Ti Si Sn S O
18 6 15 6 3 72
direct
0.000 0.000 0.000
0.001 0.639 0.501
0.296 0.955 0.084
0.305 0.333 0.832
0.308 0.604 0.331
0.314 0.989 0.582
0.335 0.667 0.670
0.600 0.934 0.171
0.603 0.298 0.666
0.632 0.625 0.246
0.639 0.635 0.751
0.672 0.328 0.332
0.673 0.967 0.835
0.936 0.600 0.835
0.940 0.973 0.333
0.958 0.283 0.416
0.960 0.309 0.922
0.973 0.936 0.667
0.288 0.957 0.231
0.306 0.954 0.937
0.651 0.663 0.103
0.655 0.640 0.394
0.976 0.313 0.065
0.985 0.302 0.269
0.017 0.674 0.334
0.017 0.969 0.836
0.261 0.303 0.666
0.265 0.593 0.167
0.305 0.675 0.834
0.307 0.259 0.331
0.591 0.256 0.836
0.595 0.969 0.331
0.635 0.340 0.499
0.638 0.938 0.001
0.676 0.007 0.667
0.932 0.634 0.002
0.934 0.931 0.499
0.973 0.591 0.666
0.982 0.019 0.165
0.305 0.969 0.732
0.307 0.982 0.434
0.643 0.632 0.602
0.647 0.639 0.901
0.958 0.289 0.562
0.970 0.298 0.771
0.347 0.346 0.002
0.349 0.636 0.499
0.684 0.306 0.166
0.002 0.143 0.833
0.013 0.512 0.606
0.090 0.928 0.774
0.109 0.809 0.279
0.114 0.816 0.997
0.116 0.930 0.495
0.129 0.489 0.832
0.132 0.259 0.609
0.137 0.490 0.111
0.137 0.747 0.395
0.138 0.997 0.894
0.139 0.286 0.323
0.143 0.782 0.670
0.150 0.997 0.173
0.167 0.475 0.226
0.171 0.324 0.006
0.175 0.479 0.500
0.190 0.345 0.728
0.241 0.134 0.389
0.271 0.772 0.890
0.282 0.133 0.670
0.291 0.787 0.173
0.326 0.789 0.497
0.327 0.173 0.999
0.347 0.164 0.276
0.350 0.790 0.773
0.416 0.442 0.944
0.437 0.622 0.445
0.443 0.655 0.555
0.450 0.476 0.661
0.457 0.440 0.053
0.457 0.613 0.160
0.464 0.949 0.996
0.469 0.931 0.272
0.470 0.148 0.496
0.472 0.651 0.842
0.475 0.451 0.339
0.482 0.188 0.772
0.486 0.987 0.671
0.489 0.122 0.890
0.514 0.144 0.169
0.517 0.019 0.389
0.607 0.418 0.561
0.609 0.446 0.841
0.613 0.796 0.339
0.613 0.813 0.060
0.654 0.817 0.660
0.657 0.467 0.441
0.663 0.457 0.160
0.682 0.855 0.942
0.753 0.137 0.611

Newsmaker: Nathalia Holt

March 1, 2016

Nathalia Holt gives a voice to the seldom-recognized female mathematicians and scientists who shaped NASA in its earliest years and beyond, in her new book, Rise of the Rocket Girls: The Women Who Propelled Us from Missiles to the Moon to Mars (Little, Brown & Company, April 2016). American Libraries recently spoke with Holt, herself … Continue reading Newsmaker: Nathalia Holt

ALA Midwinter attendees react as the Youth Media Award winners are announced.

Midwinter 2016 Wrap-Up

March 1, 2016

Jonathan Zittrain, Harvard Law School professor and cofounder of the Berkman Center for Internet and Society, urged attendees to first define the core purpose of libraries in his “Creativity, Innovation, and Change: Libraries Transform in the Digital Age” presentation. “The book as we know it, as an artifact,” he declared, “is on its way out.” … Continue reading Midwinter 2016 Wrap-Up

Sarah Vowell. Photo: Bennett Miller

On the Road with Lafayette

October 29, 2015

The Marquis de Lafayette, a French aristocrat who fought for the US in the American Revolutionary War, is a ubiquitous but overlooked character in American history. He touched many significant events, people, and places: the Revolution, Herman Melville, Marie Antoinette, and also our modern parks, cities, and roads. The name “Lafayette” is everywhere in the US, … Continue reading On the Road with Lafayette

Columbia University History Professor Eric Foner. Photo by Daniela Zalcman.

Newsmaker: Eric Foner

October 27, 2015

Your most recent book is a fascinating look at the Underground Railroad and antislavery networks of pre–Civil War New York City. Explain how you came across the document that shed new light on these events. ERIC FONER: It was totally accidental. Madeline Lewis, an undergraduate history major at Columbia who also worked for my family … Continue reading Newsmaker: Eric Foner

The April announcement of the Soon to Be Famous Author Project winner took place at the Illinois Library Association in Chicago. Front, from left: Denise Raleigh, Michael Alan Peck, and Cris Cigler. Back, from left: Donna Fletcher, Julie Stam, Lucy Tarabour, Nikki Zimmermann, and Jennifer Amling.

Soon to Be … Awarded

June 12, 2015

“A group of us who knew each other gathered spontaneously outside of the room after the talk and just got jazzed about it and said, ‘We really should do something,’” says Sue Wilsey, communication manager at the Helen Plum Memorial Library in Lombard, Illinois. What resulted was the Soon to Be Famous Illinois Author Project, … Continue reading Soon to Be … Awarded

James Patterson

Newsmaker: James Patterson

June 4, 2015

American Libraries: You made headlines last year by giving $1 million dollars in small grants to independent bookstores, and now you’re doing the same for school libraries. The problems bookstores are facing are well known, but school libraries haven’t received as much national attention. Why did you decide to focus on school libraries? That’s exactly … Continue reading Newsmaker: James Patterson


Newsmaker: Judy Blume

April 15, 2014

I know you’re not supposed to ask this of writers, but how’s the current book going? Slowly! It’s never good for me to stop and start, and with this book I’ve had to do that several times. Two years off to write and produce the Tiger Eyes movie. Months away from it for other reasons. But … Continue reading Newsmaker: Judy Blume